Title: Organic Weed Management
1Organic Weed Management
Alisha Rupple, University of Arkansas Heather
Friedrich, University of Arkansas
2Weeds Top Issue for Organic Farmers
- Successful Management Requires
- Multiple approaches
- Continual effort
- Knowledge of the biology of weeds species
- Reproduction, lifecycle, establishment annual,
perennial, wandering perennial, broadleaf, grass - Cornell Organic Weed Database, www.css.cornell.edu
3Basic Weed Ecology
- Weeds are natures way of keeping bare ground
covered and increasing biodiversity - Dynamic system involving the interaction of
weeds, crops, humans and environment - Factors affecting weed ecology are identical to
those affecting crop ecology - Light, temperature, water, pH, nutrients, organic
matter, insects and diseases, etc
4Impact of High Weed Pressure
- Compete with crops for nutrients, water, and
light - Reduced yields
- Lower crop quality
- Harbor pest insects and diseases
- Increase irrigation costs
- But, complete elimination of weeds is unnecessary
Crop yield
Weed numbers or size
5Multiple Prevention and Elimination Strategies
- Cultural
- Mechanical
- Biological
- Chemical (organically
- approved)
Many hammers approach. Liebman and Gallandt,
6Organic weed management practices Crop
Rotations on Organic Farms, Mohler Johnson, 2009
7Cultural Strategies
- Buy quality crop seed with low/no weed seeds
present - Do not allow weeds to form seed
- Thoroughly compost (gt130F for 15 days) all
manure and plant residues to ensure destruction
of weed seed - Stale seedbed technique
- Prepare soil for planting and bring weed seeds to
the surface allow weeds to germinate, kill weeds
with light tillage/minimal soil disruption. May
be repeated. Plant main crop.
8Cultural Practices
- Improve crop competitiveness
- Improve soil tilth, aeration, and fertility to
optimize crop growth - Increase crop density through narrow
row spacing and increased seeding
rate - Use transplants, rather than seed, when possible
- Plant at optimal soil temperatures to prevent
slow germination of crop - Choose competitive crop cultivars
- Manage fertility according to crop needs avoid
excess application
9Cultural Practices
- Reduce weed numbers
- Mulch (wood chips, mow and blow, paper, living,
plastic, etc) - Use weed-suppressive cover crops
- Quick germinating, high biomass
- Field with high weed pressure may warrant full
year of cover cropping and fallow to reduce weeds - Crop rotations
- altering narrowly spaced crops with closely
spaced crops, shallow rooted/deep rooted crops,
cold/warm season crops - Intercrop
- Clover underseeded in sweetcorn
- Prevent seeds from germinating by blocking light,
can smother out some weeds - Conserve water, minimal soil disruption
- Use local resources straw, fabric, wood,
newspaper, plastic - Be careful of weed seeds in straw or hay
- Avoid hay, unless you know its free of weeds
- Especially good for perennial systems
blueberries, blackberries, flowers, trees - Living mulches ie constant cover of clover on
orchard floor
11Wood chips
Shredded paper
12Cover Crops
- Smother weeds by out-competing for light, water,
nutrients - Release allelopathic chemicals that suppress weed
germination - May reduce weed emergence by 75-90
- e.g. sudan grass, buckwheat, annual rye grass,
sesbania, many more
Field pea-oat-mustard cover crop
Managing Cover Crops Profitably, 3rd ed. SARE
f crops profitably. 3rd ed. SARE
Red Clover
13Crop Rotations
- Weeds tend to infest crops with similar life
cycles - Change crop ecology shallow/deep roots,
cold/warm season, row/drilled crops, foliage
density, and heavy/light feeders - Change cultural practices cultivation, mowing,
fertilization, herbicide application, and
planting/harvest dates
1410 Year Rotation SchemeAlex and Betsy Hitt,
Chapel Hill NC http//www.ssawg.org/hitt.html
15Physical and Mechanical Practices
- Mowing
- Prevents seeding
- Depletes storage reserves
- Better control for broadleaves
- Soil solarization
- Effective control of winter annuals
- Limited control of perennials
- Cost prohibitive on large acreages
- Avoid tillage deeper than 3 after solarization
- Hand weeding
- Cultivation
- Flaming
- Should be shallow to lessen disturbance to weed
seed bank - Better for perennial and biennial control than
annual weed control - Exhaust root system by depleting storage reserves
- Requires 6-8 timely treatments in yr 1, then 3-5
the following year
Wheel hoe
Thoroughly clean equipment before moving it
between fields to prevent weed transport
Various hoes
17Potential Downsides of Cultivation
- Exposes bare ground
- increased erosion,
- decreased biodiversity,
- speeds decomposition of OM,
- increases water run-off
- Major cause of soil compaction
- Cost expensive equipment, fuel
- Should not be done in wet conditions
18Use Cultivation Wisely
- USDA-ARS research showed organic methods can
increase OM more than conventional no-till - Teasdale et al., 2007. Potential Long-Term
Benefits of No-Tillage and Organic Cropping
Systems for Grain Production and Soil
Improvement. Agron J. 991297-1305 - Negative effects of tillage may be offset by the
use of cover crops and additions of organic
matter (compost, manures, mulch, etc) - Must still use caution to avoid negative effects
of cultivation
19Type of Horticultural Cultivators
- Spyders
- Torsion weeders
- Spring hoe weeders
- Finger weeder
- Basket weeder
- Multiple-component weeder frame
- Brush weeder
- Rotary tilling cultivators
- Rear- or front-tine tillers
- Hand implements push-pull hoes, hand scrapers,
Sustainable Vegetable Production from Start-Up to
Market, Grubinger, 1999
20Other Cultivators
Sustainable Vegetable Production from Start-Up to
Market, Grubinger 1999, NRAES 104
- Intense heat sears the leaf, causing the cell sap
to expand and disrupt cell walls - seedlings are most susceptible
- Broadleaf weeds are more susceptible than grasses
- May be used in wet soil conditions
- VIDEO www.extension.org/pages/Video_Clip_Backpac
Sustainable Vegetable Production from Start-Up to
Market, Grubinger, 1999
22Uses for Flaming
- Stale seedbed technique
- Planting delayed after seed bed preparation
(Misplaced quantum chemistry results)
'''
# C7H13N2OS

The ion C7H13N2OS with charge +1 in a non-equilibrium geometry (ωB97M-V/def2-TZVPD, OMol25).

```
24
C7H13N2OS, DFT ωB97M-V/def2-TZVPD
S -2.35093 0.54168 -1.25230
O -1.75658 1.34282 1.73950
N 1.55489 0.45358 0.11506
N -1.10297 -1.09661 0.49010
C 0.47225 0.28000 -0.87229
C 1.84482 -0.85910 0.79138
C -2.26392 -1.51188 0.42668
C -0.90659 0.18600 -0.16149
C -1.12315 1.34772 0.72812
C 2.74994 0.98055 -0.69264
C -3.28157 -0.78299 -0.36008
H -2.31689 -2.47679 1.04020
H 2.98435 0.28441 -1.38138
H -4.01094 -0.34856 0.23042
H 3.54160 1.03660 0.05029
H -3.69750 -1.59756 -1.02388
H 0.47670 1.13557 -1.56343
H 2.65388 -0.77632 1.64848
H 1.30858 1.04745 0.88929
H -0.60729 2.28290 0.25408
H 0.89732 -1.00704 1.34100
H 1.87273 -1.75678 0.24053
H 2.50064 1.89120 -1.04157
H 0.56061 -0.59684 -1.63609
```

Kohn-Sham gap = 9.708 eV
multiplicity = 1
LUMO = -3.09 eV
SMILES = C[NH+](C)C[C@]1(C=O)N=CCS1
total charge = +1
E_HOMO = -12.80 eV

# C19H23N3O3S2

An isolated molecule of C19H23N3O3S2 in a non-equilibrium geometry (ωB97M-V/def2-TZVPD, OMol25).

```
50
C19H23N3O3S2, DFT ωB97M-V/def2-TZVPD
S 1.40024 -0.42727 -3.34762
S -1.22254 -1.68780 -3.26682
O 5.00771 -1.51398 -1.58419
O -1.40757 -1.28810 0.62151
O -3.89182 0.41327 -2.83926
N 0.86725 -2.06113 -1.19241
N -2.59013 -0.57043 -1.20260
N 2.19927 -2.02668 -0.86347
C -2.02530 2.13600 -0.13821
C -4.05196 1.06428 0.90500
C 2.76271 -2.33115 0.28261
C 4.13169 -2.00195 0.65564
C 4.38775 -2.15268 2.01790
C -3.16754 1.99313 -1.09092
C 5.23174 -1.77221 -0.22610
C 0.39853 -1.50283 -2.45013
C 6.83465 -1.72035 1.45610
C -1.92871 3.52676 0.55702
C -3.28145 0.51398 -1.76824
C 5.79221 -2.03767 2.38591
C -2.42678 -1.87767 -1.90225
C 6.56651 -1.71014 0.15760
C -2.48627 0.95985 0.83553
C -0.69021 1.97351 -0.80047
C -4.45625 2.05278 -0.24910
C -1.84626 1.07167 2.27643
C -2.17062 -0.44104 0.11256
H -0.75890 0.97935 2.29968
H 4.06002 -1.45736 -1.71160
H -5.36239 1.76887 -0.81680
H -2.70204 3.76781 1.34022
H -0.33677 2.90190 -1.33178
H -3.14654 2.78746 -1.79295
H 7.85959 -1.55722 1.80903
H 5.99255 -2.10759 3.45442
H -2.00505 2.00114 2.75052
H -4.53628 0.11315 0.68017
H -4.58433 3.02599 0.27281
H 0.01859 1.62060 0.03166
H -0.96394 3.70685 1.13828
H 2.08392 -2.40547 1.15701
H -1.95883 -2.62606 -1.13545
H -3.43041 -2.28242 -2.22925
H -1.96309 4.19085 -0.30822
H -0.74967 1.13233 -1.50914
H 7.31811 -1.25297 -0.53334
H 0.22044 -2.38520 -0.51873
H 3.55699 -2.33893 2.67755
H -4.41305 1.49139 1.91180
H -2.13582 0.34338 3.02215
```

Kohn-Sham gap = 7.590 eV
multiplicity = 1
LUMO = -0.53 eV
SMILES = CC1(C)[C@@H]2CC[C@@]1(C)C(=O)N(CSC(=S)N/N=C/c1ccccc1O)C2=O
E_HOMO = -8.12 eV

# C24H34MgN3O5Sb

A structure of composition C24H34MgN3O5Sb in a non-equilibrium geometry (ωB97M-V/def2-TZVPD, OMol25).

```
68
C24H34MgN3O5Sb, DFT ωB97M-V/def2-TZVPD
Sb -2.39683 -0.06159 -0.80636
Mg 0.27877 -0.36859 -0.27839
O -0.26041 -0.80387 1.66149
O 1.13889 -1.91436 -0.39975
O 1.83318 -1.07578 2.44489
O 3.20812 2.08682 0.29174
O 3.25693 -4.66589 0.14881
'''
(tillage, irrigation, etc) - Flaming knockdowns flush of weed seedlings prior
to planting - Peak emergence technique
- Crop seeded promptly after seedbed preparation
- Just before crop germinates, flaming used to kill
weed seedlings - Good method for direct-seeded, slow-germinating
crops - Glass or plastic can be used as a
crop-germination indicator crop grown under
cover germinates 2-3 days before uncovered crop
flaming should occur when crop germinates under
cover - Post-emergent flaming
- Emerged crops protected by directing flame away
from crops, shielding the crop, or flaming at a
time when crop stems are resistant to heat - Older plants able to recover from heat damage,
while young seedlings are killed
23Flaming Tips
- Bigger weeds and wet weeds are harder to kill
- Target weeds while seedlings up to 3 to 4 leaves
- Avoid flaming with morning dew
- Light drying winds and hot days increase
effectiveness - Avoid flame deflection by soil clods or excessive
dust protect weeds - Match equipment for your needs
- Save on fuel, time
- Make time for adjustments
- Burner placement, fuel pressure, tractor speed
- How much is enough?
- When you squeeze plant leaf between finger and
thumb, want to see your thumb imprint cells
have burst and weed will die/setback
24Biological Control Practices
- Insects may consume large numbers of weed seeds
or feeding injury to plant or vector virus - Thistle adult thistle-head weevil, Rhinocyllus
conicus - Multiflora rose rose rosette disease
transmitted by fungi or a (mite) - Selective grazing
- Sheep clean fields after harvest
- Weeder geese useful against grass weeds and in
perennial systems
- Biofumigation
- Use of Brassica species (canola, Indian mustard)
as cover crop or in rotation - May be incorporated or left as residue
- Brassicas produce glucosinolates, which may by
converted to cyanate compounds during
decomposition - Cyantes toxic to many bacteria, fungi, nematodes,
insects, and germinating seeds
25Chemical Control
- Organic options
- Corn gluten meal (pre-emergent herbicide)
- Suppresses many common grasses and herbaceous
weeds - WeedBan and Corn Weed Blocker
- Look for non-gmo sources
- Commonly based on vinegar or lemon juice or clove
oil ingredients (post-emergent burndown
herbicide) - Perennials may require multiple applications
- Corrodes metal sprayer parts
- Burnout, Bioganic, AllDown , MATRAN, and
Weed Bye Bye - Post-emergent chemicals are phytotoxic (burn
plant tissue) use caution when applying in crops
Organic herbicide in an orchard
Cost can be decreased by knowing pattern of weed
distribution (spot treatment v. overall
2612 Steps to Sustainable Weed Management Mark
- Pre-season Planning
- Step 1. Know the weeds on your farm.
- Step 2. Plan cropping systems to minimize open
niches for weeds. - Step 3. Keep the weeds guessing.
- Step 4. Design the cropping system and select
tools for effective weed control.
27Preventive (Cultural) Practices
- Step 5. Grow vigorous, competitive crops.
- Step 6. Put the weeds out of work grow cover
crops. - Step 7. Manage the weed seedbank minimize
deposits and maximize withdrawls.
28Control Tactics
Step 8. Knock the weeds out at critical times.
No-till organic farm Weed-free bed of
weed-sensitive onion crop.
- Step 9. Utilize biological processes to enhance
weed control. - Step 10. Bring existing weeds under control
before planting weed-sensitive crops and
long-term perennial crops.
29Enhancing and Fine-tuning the Weed Management
- Step 11. Keep observing the weeds and adapt
practices accordingly. - Keep notes
- What is suitable for one crop may not be for
another - Step 12. Experiment and stay educated. Keep up on
new developments and practices. - Night time cultivation
- Soil solarization
- Others
Weed free bed of carrots
- Using multiple approaches (many hammers) to
manage weeds will yield greater impact than
relying on a few practices. - Develop a weed management strategy that is
designed for the needs of your farm.
- Big Hammers
- Competitive crops
- Rotation
- Cover Crops
- Mulches
- Weed predators
- Livestock/grazers
- Cultivation tools
- Rollers/roller-crimper
- Flamers
- Growers Observation
- Little Hammers
- Solarization
- Organic herbicides
- Bioherbicides
- Soil microorganisms
- Crop-weed interactions
- The Sustainable Weed Control Rag, Mark Schonbeck,
e-Organic, www.extension.org/article/18529,
www.extension.org/article/18539 - www.extension.org/article/18538
- Sustainable Vegetable Production from Start-up to
Market, Grubinger, 1999. NRAES-104 - Crop rotation on Organic Farms A Planning
Manual, Mohler and Johnson, 2009. NRAES-177 - Managing Cover Crops Profitably, 3rd ed. SARE
f - Michigan Field Crop Pest Ecology Management.
Cavigelli et al. 2000, MSU Extension Bulletin
E-2704 - Cornell Organic Weed Management Website,
m l
- This presentation address general organic
production practices. It is to be to use in
planning and conducting organic horticulture
trainings. The presentation is part of project
funded by a Southern SARE PDP titled Building
Organic Agriculture Extension Training Capacity
in the Southeast - Project Collaborators
- Elena Garcia, University of Arkansas CESHeather
Friedrich, University of ArkansasObadiah Njue,
University of Arkansas at Pine BluffJeanine
Davis, North Carolina State UniversityGeoff
Zehnder, Clemson UniversityCharles Mitchell,
Auburn UniversityRufina Ward, Alabama AM
UniversityKen Ward, Alabama AM UniversityKaren
Wynne, Alabama Sustainable Agriculture Network -